Source.
'''
La2GdCd | PBE | relaxed

Properties
The calculation puts the density of states at the Fermi level at 5.35 states/eV/cell. For the size of the total moment, the calculation gives 7.26 μB/f.u. Its symmetry is R-3m (166). The value obtained for the distance to the lowest polymorph of the same formula is 93 meV/atom. For the calculated formation energy, the calculation gives -0.21 eV/f.u.

a = 3.6934 Å, b = 3.6934 Å, c = 11.4617 Å
α = 80.73°, β = 80.73°, γ = 60.00°
Last column: nearest neighbours and their distance in Å.
Element x y z (fractional)
Gd  0.5000  0.5000  0.5000  6 La 3.65, 6 Gd 3.69
Cd  0.0000  0.0000  0.0000  6 La 3.42, 6 Cd 3.69
'''

Work order.
Write out everything further above unchanged, please.

Outcome.
La2GdCd | PBE | relaxed

Properties
The calculation puts the density of states at the Fermi level at 5.35 states/eV/cell. For the size of the total moment, the calculation gives 7.26 μB/f.u. Its symmetry is R-3m (166). The value obtained for the distance to the lowest polymorph of the same formula is 93 meV/atom. For the calculated formation energy, the calculation gives -0.21 eV/f.u.

a = 3.6934 Å, b = 3.6934 Å, c = 11.4617 Å
α = 80.73°, β = 80.73°, γ = 60.00°
Last column: nearest neighbours and their distance in Å.
Element x y z (fractional)
Gd  0.5000  0.5000  0.5000  6 La 3.65, 6 Gd 3.69
Cd  0.0000  0.0000  0.0000  6 La 3.42, 6 Cd 3.69